The reader should say how many lines of the block further down hold the word "int", as a bare number.

'''
Computed powder X-ray diffraction pattern
Compound: NaAsH4O5
Radiation: λ = 1.5418 Å (Cu Kα)
Structure: a crystal structure in Alexandria, relaxed with GGA-PBE
Intensities are scaled so that the largest is 100.

Structural model:
Unit cell a=5.261 b=8.502 c=10.602 alpha=90.00 beta=90.00 gamma=90.00
Space group P2_12_12_1 (No. 19)
Inequivalent atoms, fractional coordinates:
1 Na 0.066 0.093 0.086
2 As 0.088 0.303 0.660
3 H 0.028 0.506 0.799
4 H 0.046 0.448 0.053
5 H 0.148 0.881 0.349
6 H 0.198 0.273 0.404
7 O 0.081 0.864 0.435
8 O 0.165 0.420 0.791
9 O 0.185 0.393 0.525
10 O 0.203 0.120 0.689
11 O 0.247 0.798 0.831

The 10 most intense peaks (10 to 90 degrees two-theta), low angle first:
d/Å, Rel. int., h k l
6.632, 56, 0 1 1
4.713, 50, 1 0 1
'''

1